Just another Orange fuse thread

I have noticed that since the Orange fuse was introduced, a few threads have as usual popped up but what is bugging me is that they are closed as soon as they are started. Why is so? Is discussing about fuses so controversial that it gets the same outcome when sex, religion and politics are brought up in internet discussions? Is this because of a few rotten apples/trolls that derail the discussions that those threads are closed? If this is the case, that's very sad. Anyone here care to explain?

Calculated crystals that have nothing to do with the text:
____________
Crystalline K2NaAlH6 at its relaxed geometry, computed with PBE.

The calculated formation energy comes out at -342 meV/atom.

The structure belongs to space group Fm-3m (No. 225); the cell edges are 8.1268, 8.1268 and 8.1268 Å and the angles 90.00°, 90.00° and 90.00°. Symmetry generates all atoms from K at (0.2500, 0.2500, 0.2500), Na at (0.0000, 0.0000, 0.0000), Al at (0.0000, 0.0000, 0.5000) and H at (0.0000, 0.0000, 0.2817).
____________


Most of us here really enjoy listening to music and are here to share and learn anything we can that will help us make the music sound even better. A small but very noisy minority have other priorities. The stories like the people vary but the one thing they all have in common is an inability to listen. They can't hear worth a damn.

Read their posts, you will see. They never compare anything based on how it sounds, unless its to say something meaningless like its better or they like it. Never a word about imaging, sound stage, depth, attack, decay, timbre, tone, or any of the hundreds of things the rest of us use to describe what we're hearing. But they know that's the whole reason we're here, and so they are unbelievably jealous. Jealousy leads to envy and spite and so they joke to relieve the tension in their sorry lives and attack those of us with ears who they see as the reason they have to be so miserable.

I keep trying to tell them listening is a skill. No one has it, we all have to learn, and they can too. But for some its too late. All they will ever do is bash and criticize, insult and demean. Which admittedly are tools of debate. When all you have is a hammer though then everything is a nail. That's another thing they could stand to learn, how to add tools to their tool box. To learn how to learn. 

Fortunately while prolific and noisy they are few in number. One approach is to simply ignore them. As much fun as it is to debate, you will notice they never really do debate. They may talk and pose and pretend as if they want to, but watch, they never really do. So don't get sucked in. Just ignore them. They crave attention. Don't give it to them. Make them earn it. If you engage at all, ask what they have actually done. Because almost always its pure hot air. They have done nothing. Then ask them what differences they hear. Stick with what matters. Ignore the rest.
Miller....right on the money. Guttenberg today is talking about listening as a skill. It took me some time to learn but I wish I had better hearing at this stage in my life.